something new and strange for me

Just wondering if anyone else has had this issue. During my last 2 workouts, I've noticed less endurance. I have no idea this is diet related or just normal peak and valley kind of stuff.

average 1200-1300 calories/day
20-30 net carbs per day
110-130 gm protein

Zumba 90 minutes 3 times a week for the last 2 months
30 day shred with 5lb weights 1-2 per week

Weight loss- averaging 1lb per week. My body composition analysis shows I am maintaining my muscle mass. Total loss since December 8th 22lbs.

During my last 2 Zumba workouts, I noticed my endurance was nothing-.I just felt weak in general.
I feel like I've been doing really well in Zumba and have always been able to finish strong with high energy.

Just wondering why the sudden slump in endurance and strength. The best thing I knew to do was add an extra protein shake tonight and a few extra carbs.

Has anyone else noticed this kind of issue? If so, how did you prevent it or deal with it?



  • shar140
    shar140 Posts: 1,158 Member
    I had a similar issue last month, and honestly - I increased my calories (and carbs, but not by a lot). Only 150 more cals/day, but at least I'm not so fatigued all the time now and not falling asleep after lunch anymore. I also started tracking my potassium and increased it - but some days I still can't hit my goal. But both of these have helped me.

    ETA: I haven't noticed any weight gain from the increased calories.
  • mountainmare
    mountainmare Posts: 294 Member
    I also had the same problem--upped both calories and good carbs. I stayed at 20 net carbs for a month and just felt like I didn't have enough energy when I worked out. Upped my calories to my BMR and I set my macros to 20% carbs, I try to stay 50-80 net. This broke a four week plateau and I feel great. I also do the Shred w/5 pound weights 2-3 times a week, and I just couldn't push that the way I wanted to on 20g carbs.
  • cramernh
    cramernh Posts: 3,335 Member
    Caloric intake is the key when you have increased your workouts/exercise activity.

    I just recently had some numbers run because Ive incorporated strength/weight training-related exercises... my clothes the past week are getting roomy on me and Im LOVING it....

    I do believe, and mind you this is only my personal opinion, I do believe that the meal you decide to have in the morning should have a well balance to them and perhaps a slightly larger count on the carb-intake.

    I didnt even realize how horribly low it was until I damn near passed out from the pain of the migraine I had. When I reviewed my intake, I had only consumed 4 net grams of carbohydrates.... UGH, not good! Had myself checked by the Endocrinologist just to make sure there werent other things going on, and I brought it up to her about my morning breakfast being extremely low on total carb intake. She had suggested to get at least 25g of healthy carbs in for the morning meal, but for me, not to go over 40g for the meal itself..

    So, I planned out some breakfasts for the week to target that ... and SONOVAGUN! I felt 100% better!

    For me, I needed to make that adjustment for my unique situation/medical health/prescription intake - all of that factored in together.

    Experiment with your intake but do increase your caloric intake where you are going full force with the workouts that you are doing... (By the way, that is awesome!)
  • busywaterbending
    busywaterbending Posts: 844 Member
    you need silica, magnesium, copper, zinc to your diet.

    supplementing the essential minerals you exercise out is key. B vitamins and other vitamins are processed by the water soluble minerals. With out replenishing these essential minerals that you sweat and pee out everyday, you will become anemic just from your exercising.

    I add 1 teaspoon up to one tablespoon of angstrom liquid supplements to some coconut juice every day. I also make sure I eat organ meats in my diet. That's key!

    happy training, you are doing great.
  • cristaine
    cristaine Posts: 87
    usually I just add more quality sodium and potassium and I am good. If I eat too much protein I also get like that, so I up my fats. My protein needs are fairly consistent (on my carb refeed day once a week I lower the fat) -- basically fat and carbs trade off, fat + carb for me is a kiss of death to the scale. But for me, my body personally, I need the one day carb-up. My body still runs on FAT (just like ketosis) as it is just a single day, and the next day I have only fats (fat fast) morning only with coconut oil in my coffee (blended in a blended with cinnamon and a bit of unsweetened cocoa - tastes JUST like a latte!!! no cream, just unsalted butter and coconut oil whipped on high with my brewed coffee for 30 seconds, super yummy). But this speeds up the return of a good ketosis apparently. This coffee gives me a lot of energy and easily gets me through to about 2 when I eat normally again and start to fit in that days calories. =)

    Not sure what will work for your plan and your body physiology, but just try a few things (even making sure you are eating enough calories etc) and maybe you can narrow it down. Best of luck!
  • vegansassy
    vegansassy Posts: 13 Member
    up your fat, if you are low carbing the fat is what gives you the energy. Make sure to get enough salt too. Lack of sodium can cause weakness, so make sure you aren't skimping on the sodium. I have been really successful with keep ing my fat at 65%-70% of my total calories for the day. I can jog for almost an hour doing that at induction level of carbs. But my speed is less when I am 20 carbs or fewer, I have noticed. Since you reduce the carbs you have to increase the fat for is hard to get used to high fat when we've been told over and over that fat will give us heart disease if we eat it. It is essential. You may want to up your calories if you are exercising, but it depends on your height and weight. Calculate your BMR and you need at least that for sure. Plus a little more if you exercise regularly. www. has several calculators to help you figure out where you need to be based on height & weight.

    good luck!
  • sansouchi1050
    sansouchi1050 Posts: 137
    Thank you for all of the great suggestions. I appreciate all of the advice.

== What comes next are calculated crystals, not part of the page ==
Version i
Compound: YFeBiPd
Source: OQMD
Functional: PBE-GGA
Structure: optimized geometry

- Magnetic moment: 2.1 μB/f.u.
- Calculated volume: 20.0 Å³/atom

Lattice parameters (Å, degrees): 4.837 4.837 4.837 60.00 60.00 60.00
Fractional coordinates of all 4 atoms:
Fe  0.750  0.750  0.750
Bi  0.000  0.000  0.000
Y  0.500  0.500  0.500
Pd  0.250  0.250  0.250



Version ii
Compound: YFeBiPd
Source: OQMD
Functional: PBE-GGA
Structure: optimized geometry

- Magnetic moment: 2.7 μB/f.u.
- Calculated volume: 20.8 Å³/atom

Lattice parameters (Å, degrees): 4.900 4.900 4.900 60.00 60.00 60.00
Fractional coordinates of all 4 atoms:
Y  0.250  0.250  0.250
Bi  0.000  0.000  0.000
Fe  0.750  0.750  0.750
Pd  0.500  0.500  0.500



Relative energies, unit kJ/mol of atoms: version i 0.0; version ii 7.3



Version i
Compound: ZrFeBiPd
Source: OQMD
Functional: PBE-GGA
Structure: optimized geometry

- Magnetic moment: 1.8 μB/f.u.
- Calculated volume: 18.6 Å³/atom

Lattice parameters (Å, degrees): 4.717 4.717 4.717 60.00 60.00 60.00
Fractional coordinates of all 4 atoms:
Fe  0.750  0.750  0.750
Bi  0.000  0.000  0.000
Pd  0.250  0.250  0.250
Zr  0.500  0.500  0.500



Version ii
Compound: ZrFeBiPd
Source: OQMD
Functional: PBE-GGA
Structure: optimized geometry

- Magnetic moment: 2.3 μB/f.u.
- Calculated volume: 18.2 Å³/atom

Lattice parameters (Å, degrees): 4.688 4.688 4.688 60.00 60.00 60.00
Fractional coordinates of all 4 atoms:
Pd  0.500  0.500  0.500
Bi  0.000  0.000  0.000
Fe  0.750  0.750  0.750
Zr  0.250  0.250  0.250



Relative energies, unit kJ/mol of atoms: version i 0.0; version ii 11.7



Version i
Compound: ScFeBiPt
Source: OQMD
Functional: PBE-GGA
Structure: optimized geometry

- Magnetic moment: 1.9 μB/f.u.
- Calculated volume: 18.3 Å³/atom

Lattice parameters (Å, degrees): 4.697 4.697 4.697 60.00 60.00 60.00
Fractional coordinates of all 4 atoms:
Fe  0.750  0.750  0.750
Sc  0.500  0.500  0.500
Bi  0.000  0.000  0.000
Pt  0.250  0.250  0.250



Version ii
Compound: ScFeBiPt
Source: OQMD
Functional: PBE-GGA
Structure: optimized geometry

- Magnetic moment: 2.7 μB/f.u.
- Calculated volume: 17.9 Å³/atom

Lattice parameters (Å, degrees): 4.659 4.659 4.659 60.00 60.00 60.00
Fractional coordinates of all 4 atoms:
Sc  0.250  0.250  0.250
Fe  0.750  0.750  0.750
Bi  0.000  0.000  0.000
Pt  0.500  0.500  0.500



Relative energies, unit kJ/mol of atoms: version i 0.0; version ii 6.1



Version i
Compound: TaFeBiPt
Source: OQMD
Functional: PBE-GGA
Structure: optimized geometry

- Magnetic moment: 1.8 μB/f.u.
- Calculated volume: 17.2 Å³/atom

Lattice parameters (Å, degrees): 4.596 4.596 4.596 60.00 60.00 60.00
Fractional coordinates of all 4 atoms:
Ta  0.250  0.250  0.250
Pt  0.500  0.500  0.500
Bi  0.000  0.000  0.000
Fe  0.750  0.750  0.750



Version ii
Compound: TaFeBiPt
Source: OQMD
Functional: PBE-GGA
Structure: optimized geometry

- Magnetic moment: 1.5 μB/f.u.
- Calculated volume: 17.7 Å³/atom

    I've made a couple changes to my intake- Upped my calories to 1300-1400/day and increased my fat% I was pretty low in comparison to some of you. I'm kind of easing my way into higher fat. So far I'm substituting cream for milk in my coffee of any recipe. With just these two little changes I started to feel better within a couple of day.

    I added my B complex and multi-vitamins back. I add stopped taking them because the taste is so vile!! I started having some nasty muscle cramps and twiching in my legs. I'm hoping by adding the vitamins back in and increasing my sodium intake,I can eliminate the cramps.

    My energy level and endurance is back. I've been to Zumba 3 times this week and felt really strong doing it.
    Thanks again for all of the tips and suggestions